'''
(1)
An isolated molecule of C16H18ClNO2S, computed with wB97M-V/def2-TZVPD.

```
39
Properties=species:S:1:pos:R:3
C -1.1417 -1.8000 -0.3817
H -0.7091 -2.5380 0.2908
H -2.1636 -1.5980 -0.0735
H -1.1537 -2.2104 -1.3909
C -0.3069 -0.5242 -0.3387
N 1.0823 -0.8012 -0.6865
S 2.0919 -1.3784 0.5099
O 2.5026 -2.7154 0.1878
O 1.5128 -1.1258 1.7935
C 3.5284 -0.3207 0.2903
C 4.7438 -0.8932 -0.0330
C 5.8643 -0.0955 -0.1931
C 5.7593 1.2772 -0.0264
C 4.5446 1.8573 0.2965
C 3.4259 1.0499 0.4547
Cl 1.9134 1.7364 0.8523
H 4.4548 2.9238 0.4278
H 6.6297 1.9039 -0.1477
H 6.8140 -0.5413 -0.4440
H 4.7800 -1.9647 -0.1494
H 1.1767 -1.3742 -1.5119
H -0.2664 -0.1629 0.6922
C -0.8481 0.5841 -1.2541
H 0.0017 1.1469 -1.6450
H -1.3741 0.1347 -2.0984
C -1.7791 1.5616 -0.5245
C -3.0158 0.8897 -0.0010
C -3.1487 0.5833 1.3472
C -4.2798 -0.0622 1.8162
C -5.2950 -0.4096 0.9418
C -5.1752 -0.1038 -0.4036
C -4.0444 0.5420 -0.8693
H -3.9571 0.7824 -1.9196
H -5.9663 -0.3678 -1.0905
H -6.1776 -0.9137 1.3068
H -4.3682 -0.2951 2.8672
H -2.3596 0.8501 2.0352
H -2.0648 2.3497 -1.2259
H -1.2310 2.0231 0.2985
```

Summary:
HOMO level   -9.1 eV
HOMO-LUMO gap   9.8 eV
Total energy   -45826.8409 eV
Relative energy (zero: lowest compared OMol25 entry of this formula, charge and spin)   15.67 kcal/mol

(2)
The ion C4H8N2P with charge +1 in a non-equilibrium geometry, computed with wB97M-V/def2-TZVPD.

```
15
Properties=species:S:1:pos:R:3
C 0.6318 -1.4976 0.0171
C 1.4027 -0.3911 -0.0756
C -0.9445 0.0957 -0.0271
C -2.2523 0.8111 -0.0248
N -0.7291 -1.2695 -0.0723
N 0.1947 0.7362 -0.0727
P 2.9511 0.3932 -0.3754
H 0.9263 -2.5223 0.2316
H -2.4090 1.2747 0.9528
H -2.1477 1.5771 -0.8395
H -2.9944 0.0660 -0.1885
H -1.4301 -1.9585 -0.3069
H 0.4111 1.6563 -0.5118
H 3.8266 -0.2563 0.5901
H 2.5628 1.2850 0.7029
```

Summary:
HOMO level   -13.3 eV
HOMO-LUMO gap   9.8 eV
Net charge   +1
Total energy   -16538.8224 eV
Relative energy (zero: lowest compared OMol25 entry of this formula, charge and spin)   19.00 kcal/mol

(3)
A structure of composition C25H54Br22N2O6PS2 in a non-equilibrium geometry, computed with wB97M-V/def2-TZVPD.

```
112
Properties=species:S:1:pos:R:3
C 2.9753 0.4894 2.6502
C 2.7311 -0.4438 1.4554
C 2.7895 -1.9292 1.7931
S 1.4184 -2.6338 2.6787
O 1.2626 -1.8719 3.9004
O 1.8267 -4.0265 2.8297
N 0.1838 -2.5485 1.6363
S -1.2604 -2.1544 2.2033
O -1.5313 -2.6262 3.5421
O -2.2410 -2.4868 1.1835
P -1.5159 -0.0038 2.2574
N -2.9567 0.3566 2.7066
O -0.3702 0.5490 3.2337
O -1.1754 0.5395 0.8005
H 2.3122 0.2595 3.4847
H 2.8180 1.5338 2.3493
H 4.0197 0.4119 2.9826
H 1.8004 -0.1939 0.9257
H 3.5396 -0.2600 0.7315
H 2.8553 -2.5188 0.8714
H 3.6323 -2.1469 2.4466
H -3.3393 0.9000 1.9336
H -0.6628 0.3665 4.1449
H -0.4542 1.1913 0.8459
Br -3.6881 2.5163 -0.2452
C -3.0122 3.5632 -1.7393
C -2.0808 2.7609 -2.6154
Br -0.3023 2.5150 -1.8592
H -2.5351 4.4421 -1.3202
H -3.8880 3.8647 -2.3074
H -1.9085 3.2831 -3.5539
H -2.4693 1.7651 -2.8122
Br 2.9076 1.2313 -1.6774
C 3.3152 1.2581 -3.5732
C 3.4373 -0.1354 -4.1297
Br 5.1113 -0.9908 -3.6405
H 4.2244 1.8368 -3.6999
H 2.4850 1.7734 -4.0586
H 3.4375 -0.1068 -5.2185
H 2.6462 -0.7927 -3.7826
Br -3.5567 6.9248 -2.8587
C -2.3381 8.0268 -1.8181
C -1.1010 8.4135 -2.5859
Br 0.1442 6.9275 -2.7224
H -2.0911 7.4576 -0.9270
H -2.9127 8.9066 -1.5382
H -0.5645 9.1948 -2.0518
H -1.3210 8.7459 -3.5953
Br -2.0321 2.2931 -6.3393
C -0.5182 1.5075 -7.2677
C 0.7056 1.4602 -6.3946
Br 1.4936 3.2223 -6.1584
H -0.3615 2.1085 -8.1575
H -0.8259 0.5021 -7.5494
H 1.4714 0.8437 -6.8614
H 0.4884 1.0846 -5.3974
Br -5.1631 -2.8843 6.0296
C -4.3899 -4.6380 5.7151
C -5.2710 -5.7481 6.2187
Br -5.2350 -5.9110 8.1619
H -3.4108 -4.6328 6.1838
H -4.2646 -4.7159 4.6369
H -4.9242 -6.7080 5.8424
H -6.3111 -5.6013 5.9473
Br -0.9629 -1.7580 -1.7097
C -0.6275 -1.4292 -3.5890
C -0.2909 -2.6906 -4.3406
Br 1.5401 -3.2645 -3.9995
H 0.1734 -0.6950 -3.6546
H -1.5500 -0.9986 -3.9795
H -0.3404 -2.5288 -5.4153
H -0.9360 -3.5172 -4.0612
Br -6.4538 0.1953 6.9206
C -5.2127 1.4584 7.7215
C -4.1222 1.8764 6.7773
'''
What is needed: quote every line further above that contains the word "zero".
Relative energy (zero: lowest compared OMol25 entry of this formula, charge and spin)   15.67 kcal/mol
Relative energy (zero: lowest compared OMol25 entry of this formula, charge and spin)   19.00 kcal/mol